One Man's Trash

Started by Alexander Duggan at Jun 14, 2020 12:06 pm
73 Posts

Alexander Duggan

37 Posts

Down in the forest, with the devil in me, I remember the looks on their faces, through the sycamore trees

AJ traded his rabbits for some much sought after coffee. It wasn't a lot, but the stuff was like gold in Bosler, so he was surprised by how much he'd gotten in the first place. He considered trading the coffee for cigarettes, but he decided to satisfy one vice before the other. He made his way over to Lily and gave her another small smile, giving a nod to the other guards.For reply to her question, AJ held up the small bag of coffee. "I still can't believe it, to tell you the truth."

Eve Edwards

36 Posts

"I find it funny that you think I care..."

"Oh nice they must of wanted the meat to trade that out" she could smell the coffee through the bag "It smells good I wonder... hmm I wonder if there are any old settlements that haven't been found yet..." she rubbed her chin before shaking her head and heading out the gate with AJ "Sooo do you not hang around town much either or just certain times of the day?" She looked up at him smiling "Are you a lone wolf as well?"

Alexander Duggan

37 Posts

Down in the forest, with the devil in me, I remember the looks on their faces, through the sycamore trees

"Mmm." AJ looked down at the little bag of coffee before stuffing it into his pocket. He still thought they'd been a rather pathetic bunch of rabbits, but perhaps Lily had a point. Other settlements? "Not for miles." He replied with a slight frown. He'd been out and about quite a lot over the years, and the only places even remotely close to Bosler were quite a ways away. "I ain't seen many as established as Bosler though..." He knew there were some pretty big communities out there, but he hadn't seen them personally. He shrugged at her next question. "Depends. I'm not really a people person." He looked out around them. "I'm happier out there." He gestured with his elbow, having buried his hands in his pockets. "What about you?"

Eve Edwards

36 Posts

"I find it funny that you think I care..."

She shrugged her shoulders "Often feels like I don't fit in here and for the most part I tend to keep to myself, I don't mind company just at times I don't know I don't naturally go looking for it... my last companion I had said we are normally born alone so we die alone..." she looked away "It's something I keep saying to myself... kind of morbid I guess but I feel it'll make me less sad than normal when the time comes..." she looked at him "Sorry I didn't mean for it to take a turn like that... however after having spent some time with you in the junk yard even though there wasn't much of conversation, I did really enjoy another's presence" 

Alexander Duggan

37 Posts

Down in the forest, with the devil in me, I remember the looks on their faces, through the sycamore trees

AJ nodded. He very much felt the same way. Though he knew he wasn't the only one. "I'd rather be alone a lot of the time too." There were very few people in Bosler he felt comfortable around. Even fewer he could happily open up to. In fact, he could definitely count those people on one hand. He had to agree with Lily's former companion. He never used to think that way, but as the years had progressed it just repeatedly proved itself to be true. "I get that..." He chuckled and gave her a gentle nudge. "Don't worry about it. I ain't the most cheerful of bastards."

Eve Edwards

Here is the molecule C3H8N2O2 at a distorted geometry from OMol25. Energies are from ωB97M-V/def2-TZVPD.

Last column: Löwdin charge in e.
Element x y z (Å)
H  2.366  0.584  -2.447  0.11
N  -2.000  -1.456  0.733  -0.01
H  -1.326  0.873  -0.012  0.12
C  -0.658  -0.935  0.854  -0.29
H  0.139  -1.646  0.613  0.11
H  -2.682  -0.708  0.650  0.06
H  -2.257  -2.118  1.458  0.07
H  -0.356  -0.560  1.842  0.10
C  1.763  1.176  -0.809  -0.62
H  0.901  1.350  0.985  0.15
N  0.789  0.885  0.100  0.07
O  2.686  1.924  -0.635  0.09
H  -0.439  -0.141  -1.181  0.12
O  1.535  0.556  -1.992  0.10
C  -0.461  0.216  -0.158  -0.19

* relative energy (zero: lowest compared OMol25 entry of this formula, charge and spin): 10.0 kcal per mole
* SMILES: NCCNC(=O)O
* highest occupied orbital energy: -9.519 eV
* E_LUMO: 0.793 eV



Here is the molecule C3H4N2 at a distorted geometry from OMol25. Energies are from ωB97M-V/def2-TZVPD.

Last column: Löwdin charge in e.
Element x y z (Å)
C  0.765  0.269  0.622  -0.13
H  0.347  1.696  -0.968  0.14
H  -1.342  0.126  -1.804  0.11
N  0.196  0.835  -0.493  0.04
C  -0.796  -0.010  -0.882  -0.24
H  1.723  0.531  1.028  0.10
N  -0.977  -1.010  -0.072  0.04
C  0.016  -0.840  0.904  -0.15
H  0.069  -1.597  1.664  0.09

* relative energy (zero: lowest compared OMol25 entry of this formula, charge and spin): 4.2 kcal per mole
* SMILES: c1c[nH]cn1
* highest occupied orbital energy: -8.954 eV
* E_LUMO: 0.931 eV

* * * * *

Record 1
21
Properties=species:S:1:pos:R:3 method="wB97M-V/def2-TZVPD" mol_weight_g_mol=205.16 max_force_ev_per_a=4.3 smiles=C[SiH](C)c1c(Cl)cccc1Cl orbital_gap_ev=9.89 e_homo_ev=-9.099
C -1.293 -1.038 -1.815
Si -0.653 -1.085 0.042
C -1.960 -0.402 1.391
C 1.068 0.147 -0.014
C 2.317 -0.420 -0.097
Cl 2.586 -2.049 -0.447
C 3.502 0.329 0.066
C 3.367 1.709 0.220
C 2.093 2.333 0.094
C 0.965 1.566 0.171
Cl -0.630 2.214 0.322
H -1.991 -0.296 -2.002
H -0.407 -0.886 -2.429
H -1.860 -1.834 -2.223
H -0.103 -2.409 0.581
H -2.793 0.156 0.861
H -2.290 -1.348 1.849
H -1.358 0.162 2.125
H 4.425 -0.085 0.168
H 4.289 2.255 0.262
H 2.057 3.414 0.072

Record 2
89
Properties=species:S:1:pos:R:3 method="wB97M-V/def2-TZVPD" mol_weight_g_mol=898.11 max_force_ev_per_a=1.2 orbital_gap_ev=4.32 charge=-2 e_homo_ev=-0.163
Pd 0.473 -0.433 -0.059
C -1.861 2.831 0.185
P -2.577 1.462 -0.824
C -3.082 2.591 -2.272
C -2.034 2.958 -3.130
C -2.243 3.809 -4.205
C -3.513 4.320 -4.457
C -4.565 3.959 -3.628
C -4.349 3.104 -2.549
C -4.275 1.013 -0.348
C -4.852 -0.107 -0.936
C -6.173 -0.435 -0.664
C -6.929 0.352 0.198
C -6.347 1.459 0.806
C -5.024 1.784 0.535
C -0.386 3.008 -0.056
C 0.239 4.127 -0.610
C 1.630 3.852 -0.570
C 1.741 2.593 0.017
C 2.974 1.794 0.341
P 2.682 0.060 -0.251
C 3.195 0.237 -2.016
C 4.454 0.678 -2.427
C 4.756 0.816 -3.776
C 3.792 0.525 -4.734
C 2.529 0.111 -4.338
C 2.229 -0.031 -2.987
C 4.076 -0.876 0.518
C 3.923 -1.119 1.891
C 4.779 -1.960 2.580
C 5.807 -2.617 1.906
C 5.966 -2.403 0.546
C 5.114 -1.539 -0.140
N 0.527 2.083 0.335
Back to the piece:

36 Posts

"I find it funny that you think I care..."

"I often think it's hard to be constantly cheerful during this time, like at times what does one have to be happy about? But then I tell myself if I want to be happy that happiness is a choice ya know like I can chose to be happy or be miserable..." she smiled when he nudged her a bit "So your project... you still looking for screws this time or looking for something else? If you find any glass bottles that aren't broken push them off to the side for me though... always looking for glass bottles..."

Alexander Duggan

37 Posts

Down in the forest, with the devil in me, I remember the looks on their faces, through the sycamore trees

"Mmm." AJ couldn't but agree. He hadn't known anything other than the time period they were living in. Not really. "There are a lot of things to be happy about, though..." Little thing especially were what he was thinking of. He greatly enjoyed watching the sunrise or the sunset. It helped him stay grounded and remember that there was always a chance for change. "I might leave it alone for a while. I've got other things to be doin' after all." He shrugged. He was always tinkering with something. "Glass bottles, hm? I've built up quite the collection myself. You're welcome to take some, though."

Eve Edwards

36 Posts

"I find it funny that you think I care..."

"Ah well I guess I'll have to visit to see whatcha have, and maybe you could show me other projects you might have going on  if you don't mind" she smiled.

_Between two parts of the article: records of molecules_
____________
No. 1
# C22H30BFIN4O5PSn

C22H30BFIN4O5PSn as an isolated structure in a non-equilibrium geometry (ωB97M-V/def2-TZVPD, the OMol25 dataset).

Properties
* E_HOMO: -13.39 eV
* multiplicity: 1
* Kohn-Sham gap: 2.95 eV
* LUMO level: -10.4 eV
* charge: +2

Last column: Mulliken charge in e.
Cartesian coordinates (Å):
I (3.660, -3.865, 1.031)  -0.07
Sn (2.510, 3.211, -3.280)  1.07
P (1.519, -3.681, -0.114)  -0.16
F (-0.495, 4.035, 0.431)  -0.32
O (-0.612, -1.347, -5.139)  -0.35
O (0.108, 4.119, 4.469)  -0.70
O (1.924, -2.822, -1.471)  -0.32
O (-2.098, 3.546, 3.832)  -0.44
O (0.853, -2.388, -6.491)  -0.49
N (-3.813, -0.281, 2.844)  -0.53
N (1.333, -1.074, 0.672)  -0.30
N (-2.158, -3.890, 1.354)  -0.52
N (-0.728, -1.505, 2.494)  -0.32
C (0.450, 4.694, 1.220)  -0.53
C (-0.857, -3.851, 2.021)  -1.17
C (0.052, -1.335, -3.882)  -0.55
C (0.815, -0.054, 1.390)  -0.49
C (2.408, 1.444, 0.184)  -1.89
C (0.864, 2.298, 1.969)  0.70
C (-1.010, -4.632, -5.200)  -0.77
C (-0.215, -0.271, 2.318)  0.71
C (-3.211, 0.726, 3.312)  -0.10
C (1.795, 2.219, -1.013)  -0.07
C (-0.447, -0.127, -3.111)  -0.93
C (0.834, -2.266, 0.874)  0.15
C (0.500, 0.176, -1.931)  0.39
C (-0.736, 0.827, 3.074)  -0.13
C (1.439, 3.690, 1.826)  -1.68
C (-0.231, -2.495, 1.796)  0.34
C (-1.185, -3.538, -5.926)  -0.12
C (1.339, 1.256, 1.218)  0.86
C (1.484, 1.317, -2.245)  -1.01
C (-0.200, -2.427, -5.916)  0.58
C (-1.880, 0.534, 4.007)  -1.67
C (-0.203, 2.083, 2.910)  0.62
B (-0.765, 3.286, 3.789)  0.79
H (0.965, 5.432, 0.604)  0.41
H (-1.817, 1.135, 4.914)  0.50
H (1.092, -0.716, -1.718)  -0.19
H (0.718, 3.645, 5.045)  0.36
H (2.410, 0.959, -2.762)  0.43
H (-0.066, -4.876, -4.732)  0.30
H (-1.835, -5.318, -5.070)  0.29
H (-0.196, -4.662, 1.714)  0.57
H (0.888, 1.954, -2.991)  0.39
H (-2.059, -3.395, -6.552)  0.35
H (2.622, 2.979, -1.285)  0.03
H (-2.383, 3.790, 4.721)  0.31
H (-2.124, -4.489, 0.541)  0.22
H (-1.425, -0.353, -2.690)  0.36
H (-0.059, 0.479, -1.050)  0.41
H (0.905, 2.807, -0.775)  0.98
H (-1.854, -0.510, 4.306)  0.42
H (-2.882, -4.224, 1.971)  0.23
H (-0.066, 5.256, 1.996)  0.38
H (3.230, 2.028, 0.596)  0.73
H (1.131, -1.271, -4.063)  0.34
H (-0.987, -3.944, 3.098)  0.40
H (-4.691, -0.001, 2.409)  0.27
H (1.706, 4.032, 2.822)  0.67
H (-3.617, 1.733, 3.224)  0.46
H (2.880, -2.778, -1.592)  0.24
H (-0.561, 0.730, -3.777)  0.31
H (2.361, 3.712, 1.246)  0.37
H (2.844, 0.503, -0.141)  0.51
H (-0.175, -2.247, -3.324)  0.37

No. 2
# C22H30BFIO8PS

A 3-piece molecular cluster, C22H30BFIO8PS overall in a non-equilibrium geometry (ωB97M-V/def2-TZVPD, the OMol25 dataset).

Properties
* E_HOMO: -8.59 eV
* multiplicity: 1
* Kohn-Sham gap: 7.31 eV
* structure (SMILES): CC(C)CC1=C(I)C(=O)c2cc(F)c([PH2]=S)c(B(O)O)c2C1=O.CCOC(C)=O.CCOC(C)=O
* LUMO level: -1.3 eV

Last column: Mulliken charge in e.
Cartesian coordinates (Å):
I (0.246, -4.941, -1.740)  0.10
S (-1.627, 2.705, 3.083)  -0.39
P (0.208, 2.702, 2.411)  0.11
F (0.869, 2.400, -0.452)  -0.36
O (0.898, 0.692, 4.608)  -0.54
____________

the rest of the walk was in silence minus the sounds going on around them, when they had reached it, they pushed open the gates and closed it behind them to avoid anyone or anything sneaking in behind them.

"So... do you want to talk about anything or do you want to look through in silence? Either is fine with me... I don't mind playing 20 questions either..."

Alexander Duggan

37 Posts

Down in the forest, with the devil in me, I remember the looks on their faces, through the sycamore trees

AJ nodded, squinting off into the distance like he always did. His wife hadn't been all that chatty either, so they'd settled in to one another pretty quickly. As a result, he didn't have the first clue on how to really talk to women. Men were fine, considering he was one. His projects weren't even that interesting. He couldn't remember how many times he'd fallen asleep while trying to work on them. He just liked tinkering with things. Any excuse to distract himself from everything that had happened.

# Unrelated to this text: quantum chemistry results
+++
(1)
C15H39N4O8PSi2 as an isolated structure at a distorted geometry. Source: the OMol25 dataset; level of theory: wB97M-V/def2-TZVPD.

```
69
Properties=species:S:1:pos:R:3:lowdin_charge:R:1
N 7.4217 -2.4066 1.0409 0.08
C 7.0876 -1.2610 1.4561 -0.33
C 5.8517 -0.8957 2.2408 -0.24
Si 4.2252 -1.3355 1.3924 0.54
C 3.7939 -3.1702 1.6713 -0.23
O 2.7194 -3.4265 2.5998 -0.13
C 1.4652 -3.3506 2.0076 -0.28
O 1.3405 -4.3283 0.9941 -0.10
C 0.0819 -4.2469 0.3453 -0.15
C -0.0819 -2.9403 -0.4788 -0.21
O 1.1941 -2.3584 -0.7472 -0.10
O 3.0694 -0.3416 2.0557 -0.34
Si 2.2348 0.8134 1.1903 0.47
C 0.5749 0.1611 0.6604 -0.23
C -0.2684 -0.2139 1.8925 -0.42
O -0.3690 0.9140 2.7559 -0.06
C -1.6479 -0.7630 1.5030 -0.21
N -2.5770 0.2964 1.0923 0.03
P 3.3017 1.5409 -0.6892 0.55
O 2.6594 0.9690 -1.9191 -0.54
H 6.7306 -3.1128 1.3171 0.03
H 7.7799 -0.4380 1.2222 0.10
H 5.8359 0.1813 2.4669 0.07
H 5.8361 -1.4085 3.2171 0.09
H 4.3160 -1.1388 -0.0734 0.02
H 4.6595 -3.7377 2.0436 0.09
H 3.5433 -3.6060 0.6913 0.09
H 0.7064 -3.4888 2.7975 0.15
H 1.3248 -2.3609 1.5338 0.09
H -0.7344 -4.2822 1.0911 0.12
H 0.0001 -5.1401 -0.2832 0.12
H -0.6940 -2.2201 0.0822 0.04
H -0.6154 -3.1629 -1.4153 0.13
H 1.0236 -1.5113 -1.1921 0.07
H 2.0748 2.0036 2.0477 0.00
H 0.0558 0.9851 0.1418 0.09
H 0.6899 -0.6939 -0.0139 0.03
H 0.2341 -1.0262 2.4474 0.12
H -1.3068 1.1192 2.8700 0.08
H -1.5070 -1.5038 0.7010 0.07
H -2.0614 -1.3118 2.3630 0.13
H -2.7404 0.2677 0.0895 0.04
H -3.4828 0.1760 1.5322 0.07
H 3.1984 2.9531 -0.6417 -0.03
H 4.6938 1.2957 -0.6189 -0.03
C -6.1163 3.5511 -1.4062 -0.01
C -5.3392 2.7237 -0.4073 -0.57
O -5.5162 1.5212 -0.3011 0.03
N -4.4301 3.3713 0.3707 0.01
C -4.0934 4.7791 0.3724 -0.07
H -6.7938 2.8862 -1.9354 0.08
H -6.6972 4.3271 -0.9060 0.08
H -5.4477 4.0268 -2.1257 0.08
H -3.9494 2.7694 1.0256 0.12
H -3.0367 4.9238 0.1401 0.08
H -4.2936 5.2234 1.3488 0.08
H -4.6827 5.3074 -0.3712 0.07
C -2.4463 1.7516 -2.2899 0.01
C -1.5932 0.5159 -2.4566 -0.50
O -1.2278 -0.1771 -1.5195 0.03
N -1.1962 0.2152 -3.7220 0.02
C -1.4963 0.9140 -4.9530 -0.07
H -2.6986 1.8788 -1.2405 0.05
H -1.8765 2.6214 -2.6223 0.09
H -3.3673 1.6822 -2.8694 0.09
H -0.6126 -0.6059 -3.7763 0.14
H -2.0215 0.2602 -5.6516 0.08
H -0.5797 1.2634 -5.4314 0.09
H -2.1260 1.7752 -4.7530 0.07
```

Values from the calculation:
E_tot   -2336.2652 Eh
Highest occupied orbital energy   -9.24 eV
Multiplicity   1
LUMO energy   0.01529 Eh
Charge   0

(2)
C15H39N7PtSSi2Te as an isolated structure. Source: the OMol25 dataset; level of theory: wB97M-V/def2-TZVPD.

```
66
Properties=species:S:1:pos:R:3:lowdin_charge:R:1
Pt 0.9472 -0.2348 0.2645 0.65
C 5.6007 -0.8655 3.0170 0.02
N 4.7874 -0.1990 1.9800 -0.10
C 5.4070 0.8958 1.2166 0.02
C 3.5599 -0.5910 1.7030 -0.36
N 2.8693 -0.1073 0.6697 -0.08
N 3.0055 -1.5447 2.5293 0.19
C 1.8075 -2.2017 2.4094 -0.44
N 1.6431 -3.2347 3.2291 0.24
N 0.8804 -1.8119 1.5634 -0.07
H 6.6186 -0.4997 2.9383 0.11
H 5.6295 -1.9435 2.8546 0.11
H 5.2393 -0.6228 4.0188 0.12
H 6.2798 1.2407 1.7609 0.11
+++

When they arrived at the scrap yard, he did his customary scan of the immediate area before he pulled his glasses out of his pocket. He chuckled at Lily's comment. "Got a topic in mind?" He set his glasses on the end of his nose, then shrugged. "Twen'y ques'ions is fine by me."

Eve Edwards

36 Posts

"I find it funny that you think I care..."

"Then I'll start..." she started looking through the piles before she started asking basic questions "What where you doing before you came here?" She pushed aside some glass into an empty tub and continued on "Are you like the other men in town?" She looked up at him "I mean I'm only asking so I know where to not cross any boundaries and make things awkward or uncomfortable... because that's the last thing I'd ever want to do to someone..." she looked down Embarrassed she asked and started pushing things around with her hand